
Hypermana Deckbuilding

Pro Tour Hall of Fame member Zvi Mowshowitz explains the principles of hypermana deckbuilding using the G/W Elves deck he designed that saw some success at #SCGINVI.

The best part about G/W Elves, my latest contribution to Standard, is the many people who have commented that they figured out it was a Zvi Mowshowitz creation just by looking at the list without having to be told. Only one man could build such a list! I wonder if that is actually true the same way it is for some of Sam Black creations, which really couldn’t have been built by anyone else (myself included), but it’s certainly true that people’s instincts were both justified and spot on in this case. In a world where people rapidly converge on a consensus "right answer" to the build of most decks, it’s still easy to tell who built many of them by looking at the lists.

Through the ages, I’ve built just about everything, and at the start of a new format, I do it again. But my modern-day specialties fall into two categories. There’s the deck full of efficient threats that assembles more power than a deck with the relevant curve and speed has any right to assemble with more resilience than you expect. The time hasn’t quite come for one of those to break through, although several of them got close and I still think that the W/G Human deck was (and likely still is if you add Imposing Sovereign) highly underrated.

The other specialty is my first love: mana acceleration. I find ways to build decks with ludicrous amounts of mana acceleration that assemble massive threats in greater numbers than the competition can hope to match. I love these decks, and they love me. The key to making these decks work is knowing the key requirements an acceleration-based deck has to meet before it can work properly. These three decks illustrate the template:

These decks have a lot in common and in all three cases seem to have a singular origin; no one else designed anything that got close because they don’t know what to look for. Here are the principles to live by.

1. Your mana base, including your color, has to be ironclad.

**Data records that have nothing to do with the text**
- - -
{
  "formula": "BaLa2Si",
  "functional": "GGA-PBE",
  "state": "optimized geometry",
  "dos_ef_per_ev_atom": 1.06,
  "spacegroup": "R-3m, No. 166",
  "dft_energy_ev_per_atom": -4.52,
  "e_form_raw_kcal_per_mol_atoms": -5.1,
  "lattice_angstrom": [[2.155, 1.244, 10.549], [-2.155, 1.244, 10.549], [0.000, -2.489, 10.549]],
  "species": ["Ba", "La", "La", "Si"],
  "frac_coords": [[0.000, 0.000, 0.000], [0.219, 0.219, 0.219], [0.781, 0.781, 0.781], [0.500, 0.500, 0.500]]
}

* * * * *

A plane-wave DFT calculation with GGA-PBE was carried out for Sm2TmInN after structural relaxation.

Lattice parameters (Å, degrees): 4.7342 4.9672 4.9672 90.00 90.00 90.00
Last column: nearest neighbours and their distance in Å.
Atoms (fractional coordinates):
N: 0.0000 0.0000 0.0000  2 Tm 2.37, 4 Sm 2.48
In: 0.5000 0.5000 0.5000  8 Sm 3.43, 4 Tm 3.51
Sm: 0.0000 0.0000 0.5000  2 N 2.48
Sm: 0.0000 0.5000 0.0000  2 N 2.48
Tm: 0.5000 0.0000 0.0000  2 N 2.37

* final energy: -29.69 eV per cell
* calculated volume: 23.36 Å³/atom



A plane-wave DFT calculation with GGA-PBE was carried out for Ca2Zn2As3 after structural relaxation.

Lattice parameters (Å, degrees): 4.2163 8.1168 9.6948 81.14 77.44 74.95
Last column: nearest neighbours and their distance in Å.
Atoms (fractional coordinates):
As: 0.8428 0.5053 0.8092  3 Zn 2.55-2.57
As: 0.9169 0.0410 0.1252  1 As 2.52, 1 Zn 2.60
As: 0.0831 0.9590 0.8748  1 As 2.52, 1 Zn 2.60
As: 0.6185 0.2277 0.5352  4 Zn 2.53-2.68
As: 0.1572 0.4947 0.1908  3 Zn 2.55-2.57
As: 0.3815 0.7723 0.4648  4 Zn 2.53-2.68
Ca: 0.7343 0.8659 0.6655  6 As 2.97-3.03
Ca: 0.6059 0.7399 0.0483  7 As 3.06-3.30, 3 Zn 3.29-3.30
Ca: 0.3941 0.2601 0.9517  7 As 3.06-3.30, 3 Zn 3.29-3.30
Ca: 0.2657 0.1341 0.3345  6 As 2.97-3.03
Zn: 0.0427 0.2270 0.6876  4 As 2.55-2.60
Zn: 0.4106 0.5225 0.6564  4 As 2.53-2.68
Zn: 0.9573 0.7730 0.3124  4 As 2.55-2.60
Zn: 0.5894 0.4775 0.3436  4 As 2.53-2.68

* final energy: -51.89 eV per cell
* formation energy: -0.778 eV per atom
* calculated volume: 22.22 Å³/atom



A plane-wave DFT calculation with GGA-PBE was carried out for SrAc2OsN4 after structural relaxation.

Lattice parameters (Å, degrees): 3.7435 6.8002 12.7586 90.00 90.00 105.98
Last column: nearest neighbours and their distance in Å.
Atoms (fractional coordinates):
Ac: 0.6309 0.2617 0.4636  6 N 2.58-2.81
Ac: 0.6309 0.2617 0.0364  6 N 2.58-2.81
Ac: 0.3691 0.7383 0.5364  6 N 2.58-2.81
Ac: 0.3691 0.7383 0.9636  6 N 2.58-2.81
Os: 0.8396 0.6792 0.7500  4 N 1.96-1.99
Os: 0.1604 0.3208 0.2500  4 N 1.96-1.99
N: 0.0000 0.0000 0.5000  4 Ac 2.58
N: 0.2608 0.5216 0.1325  1 Os 1.99
N: 0.7392 0.4784 0.8675  1 Os 1.99
N: 0.7392 0.4784 0.6325  1 Os 1.99
N: 0.6170 0.2340 0.2500  2 Os 1.96
N: 0.2608 0.5216 0.3675  1 Os 1.99
N: 0.3830 0.7660 0.7500  2 Os 1.96
N: 0.0000 0.0000 0.0000  4 Ac 2.58
Sr: 0.1333 0.2665 0.7500  4 N 2.77
Sr: 0.8667 0.7335 0.2500  4 N 2.77

* final energy: -117.13 eV per cell
* calculated volume: 19.52 Å³/atom
- - -
**Here the text continues**

If you need colored mana, you need a minimum of fourteen ways to get that color on turn 1. Sometimes you can afford more, but usually you only want fourteen or fifteen because of your other requirements. Fourteen is a hard lower bound. It can be survivable to play a tapped land on turn 1, but it’s very bad and often a forced mulligan. Similarly, you’ll need at least eight mana sources you can play on turn 1 in order to pull this off, with more after that at two or three mana. I’m not sure what the true minimum is, but the pattern seems to be that you want a total of at least sixteen and the more you can get away with subject to #2, the better.

2. You must be able to turn your mana cards into powerful weapons in their own right.

You’ll need to bring at least 22 lands to the party in any modern deck, and in most cases you’ll want 24-26. Even with only 22, the majority of your deck will be mana. If those cards don’t do anything other than provide mana, it will be easy for your opponents to make short work of you if they can trade for your threats, especially if you have a threat-light hand. Being able to fight with your mana sources is a requirement for this type of deck to be viable.

In Mythic, you combined multiple manlands with Knight of the Reliquary, the two power of Lotus Cobra, and the exalted from Noble Hierarch. In Angels & Titans, Knight of the Reliquary and Noble Hierarch returned, Nest Invader came in to replace Lotus Cobra, and the hideaway lands joined the party. Elves doesn’t use manlands because colorless lands wouldn’t work with the mana requirements (see #1) if you splash a color; Gavony Township is by far the best way to turn a flood of lands and mana creatures into an efficient fighting force. Between Gavony Township and Elvish Archdruid, there’s a good chance those Elves can pack real punch.

3. The threats you accelerate to must be able to win the game on their own.

It’s the last fatty that kills you, and it frequently must do this on its own because its friends are dead or never show up in the first place. Green in Standard offers you a lot of good creatures that fit this bill: Kalonian Hydra, Wolfir Silverheart, and of course Craterhoof Behemoth. It also offers Garruk, Caller of Beasts, which in a deck with enough creatures is in context very similar to drawing five cards.

# These data records were left in the page by mistake
____________
Record 1
The following is a PBE calculation of a geometry-optimized BaLuBeAu structure, from OQMD.

abc: 5.101 5.101 5.101
angles: 60.00 60.00 60.00
Positions (direct):
Ba 0.000 0.000 0.000
Lu 0.250 0.250 0.250
Be 0.500 0.500 0.500
Au 0.750 0.750 0.750

Computed properties:
Electronic total energy: -3.09 eV/atom
Size of the total moment: 0.00 μB per cell
Density: 9.169 g cm⁻³
Volume: 94 Å³/cell



Record 2
The following is a PBE calculation of a geometry-optimized Rb3NaAg2As2 structure, from OQMD.

abc: 6.069 6.466 6.549
angles: 77.36 89.93 89.95
Positions (direct):
Rb 0.000 0.000 0.000
Rb 0.000 0.358 0.333
Rb 0.500 0.077 0.625
Na 0.499 0.693 0.312
Ag 0.249 0.550 0.800
Ag 0.752 0.550 0.799
As 0.001 0.798 0.538
As 0.500 0.325 0.074

Computed properties:
Electronic total energy: -2.74 eV/atom
Density: 4.271 g cm⁻³
Volume: 251 Å³/cell



Record 3
The following is a PBE calculation of a geometry-optimized GdInPbSe3 structure, from OQMD.

abc: 7.575 7.575 11.701
angles: 90.00 90.00 148.35
Positions (direct):
Gd 0.000 0.000 0.000
Gd 0.000 0.000 0.500
In 0.350 0.650 0.750
In 0.650 0.350 0.250
Pb 0.337 0.663 0.250
Pb 0.663 0.337 0.750
Se 0.005 0.995 0.250
Se 0.362 0.638 0.501
Se 0.362 0.638 0.999
Se 0.638 0.362 0.001
Se 0.638 0.362 0.499
Se 0.995 0.005 0.750

Computed properties:
Electronic total energy: -4.52 eV/atom
Size of the total moment: 0.01 μB per cell
Density: 6.750 g cm⁻³
Volume: 352 Å³/cell



Record 4
The following is a PBE calculation of a geometry-optimized Ga2CuB structure, from OQMD.

abc: 4.270 4.270 4.270
angles: 60.00 60.00 60.00
Positions (direct):
Ga 0.000 0.000 0.000
Ga 0.250 0.250 0.250
Cu 0.750 0.750 0.750
B 0.500 0.500 0.500

Computed properties:
Electronic total energy: -3.34 eV/atom
Density: 6.448 g cm⁻³
Volume: 55 Å³/cell



Record 5
The following is a PBE calculation of a geometry-optimized SrGaNi structure, from OQMD.

abc: 4.643 4.643 4.643
angles: 60.00 60.00 60.00
Positions (direct):
Sr 0.000 0.000 0.000
Ga 0.500 0.500 0.500
Ni 0.750 0.750 0.750

Computed properties:
Electronic total energy: -3.46 eV/atom
Size of the total moment: 0.00 μB per cell
Density: 5.070 g cm⁻³
Volume: 71 Å³/cell



Record 6
The following is a PBE calculation of a geometry-optimized MgAlAg2 structure, from OQMD.

abc: 4.459 4.459 8.530
angles: 90.00 90.00 120.00
Positions (direct):
Mg 0.333 0.667 0.250
Mg 0.667 0.333 0.750
Al 0.000 0.000 0.000
Al 0.000 0.000 0.500
Ag 0.333 0.667 0.585
Ag 0.333 0.667 0.915
Ag 0.667 0.333 0.085
Ag 0.667 0.333 0.415

Computed properties:
Electronic total energy: -2.89 eV/atom
Density: 6.037 g cm⁻³
Volume: 147 Å³/cell



Among the records above, which one has the highest electronic total energy?
Rb3NaAg2As2

----------

This record from the Alexandria database describes an optimized crystal structure of AlCr2Pt. The functional is GGA-PBE.

Cell lengths 4.6181, 4.6181, 4.6181 Å; angles 129.76, 129.68, 73.86 degrees
Last column: nearest neighbours and their distance in Å.
Fractional positions:
____________
# The page goes on

That’s about as many high-end spells as one can safely support, and after that the quality drop-off is rapid.

Garruk, Primal Hunter is interesting since it can win a game but is not especially quick about it, exposes you in new ways, and makes your Bonfire of the Damned problem worse rather than better. Acidic Slime doesn’t fit the bill at all but can be a special case. Thragtusk is a great card when you’re trying to stay alive and fighting an incremental game, but it’s terrible at killing opponents, which is what you need it to do. In a perfectly engineered anti-aggression post-sideboard configuration, you would have it, but it’s not your first place to upgrade because you’re trying to lower your curve.

Huntmaster of the Fells is another great example of an excellent card that helps grind out games but is profoundly unhelpful to a true hyperramp strategy because slowly accumulating small advantages is not how you make up for spending two thirds of your cards primarily on mana nor does it properly take advantage of massive amounts of acceleration.

4. The biggest threat must be powerful enough to overwhelm opponents.

This is related to #3 but is different as well. A card that can win an entire game if left to its own devices is different from a card that can beat their entire game plan. In today’s Magic, opponents will be doing powerful things with their decks. You need not only to be able to operate off only one large card but also to be able to take your large cards into the later stage of the game and have them be unable to deal with what they add up to. Something in your deck must bring overwhelming force. The original Mythic’s final form used Eldrazi Conscription, Angels & Titans used Iona, and Elves uses the almighty Craterhoof Behemoth.

5. You need a way to make your cards keep you alive against aggression.

In general, a hyperramp strategy that works has an excellent matchup against beatdown decks. You have total and complete inevitability if your deck is built right, so your opponent has to win on tempo, and that’s tough to do when you have more one-drops than they do! It’s on them to contain your explosive mana engine while also killing you, which is tough if you make it tough, but you can’t afford to give them a free pass for too long. It’s vital that you do things that cost two or three mana that hold down the fort.

In the original Mythic, this was Rhox War Monk and Baneslayer Angel, and Angels & Titans solved this problem with Nest Invader and by sticking with Baneslayer Angel as one of its creatures. Here it is Loxodon Smiter. Loxodon Smiter is the card in the deck that everyone looks at funny and people are looking to replace, which I respect, but it’s better to think of it as a way to gain stability in game 1s against aggression. It actively punishes an army of attackers, giving you the time to finish your development while also still being good beats. That doesn’t mean it should stay, but it’s not as random as it looks.

Sideboarded games against aggression are very hard to lose. The cards they sideboard against you tend to be harmless since their deck was already focused on the job they have to do, while you get to dramatically lower your curve and tune your creatures to be defensive, making the window for them to kill you in much narrower while burning a bunch of raw power that you in no way needed. They don’t usually have a long game that matters.

6. Every card must either be mana or a threat.

You don’t have room for removal. You don’t have room for counterspells. Every card you play that doesn’t provide mana must be one of those game-winning threats. A few of them can be lower-priced threats to support a reasonable curve, but only a few. You certainly can’t be putting in removal spells because that’s trading one for one with an enemy who has more cards than you do or worse risking it being dead in your hand because they’re playing defense with spells. You must show opponents no mercy. After sideboarding you’ll know what you’re up against, and if your goal is simply staying alive, it becomes ok to play answers.

7. You need a way to not die to mass removal.

This is the often-hard part. Your plan will involve putting a lot of stuff into play. What if they kill it all with a single card? Usually the answer involves biting the bullet. If your opponent has the sweeper, that’s going to suck for you, but your deck is very powerful and can if properly built and played manage multiple waves of deadly threats. It’s the last fatty that kills them and the last sweeper that kills you, and most people don’t take the approach of bringing more sweepers than they think they need, instead taking the bare minimum they can get away with. When you’re serious about packing a real punch, that often won’t be enough.

Witness U/W/R decks with access to only two Supreme Verdicts. Gerry Thompson has called the card a "crutch." In my world, that’s insane. Supreme Verdict and the ability to recast it with Snapcaster Mage are one of the biggest draws of such a strategy. Why would you skimp on it when it’s so cheap to have access to all four? Then again, most people playing aggression mess up point #6, which makes things a lot easier, but it’s still true that a lot of games are either "Verdict or no" situations on the fourth or fifth turn or would be easy games with Verdict but very hard games without it.